Job =
Give back the lines further below up to the one that holds "0.095", that line included.

Contents =
~~~
# 1
The following is a quantum chemistry calculation of 2 unconnected molecules or ions with the total composition CH2NO3S, from the Open Molecules 2025 dataset.

Geometry as XYZ:
```
8
Properties=species:S:1:pos:R:3:forces:R:3:lowdin_charge:R:1
H -1.1022 -1.0428 0.6192 -1.013 0.159 0.521 0.050
N -0.7929 0.7511 -0.0089 0.416 -1.772 -4.022 -0.528
O -0.7676 1.9180 -0.4582 0.404 0.506 0.209 -0.109
O -0.6906 -1.4457 -0.2094 0.427 -1.574 -0.307 -0.044
H 3.0539 -0.4393 -0.3234 0.703 -0.691 -0.602 -0.364
S 2.2140 0.2956 0.3485 -0.604 0.593 0.382 0.317
O -1.5861 0.3584 0.8654 -1.671 0.242 3.436 -0.130
C -0.3286 -0.3953 -0.8331 1.338 2.537 0.385 -0.192
```
Positions in Å, forces in eV/Å.

- highest occupied orbital energy (alpha / beta) (eV) = -2.538 / -4.425
- energy (eV) = -19532.042
- relative energy (zero: lowest compared OMol25 entry of this formula, charge and spin) (kcal per mole) = 98.2
- multiplicity = 3
- charge = -1
- HOMO-LUMO gap (alpha / beta) (eV) = 6.272 / 6.105

# 2
The following is a quantum chemistry calculation of a molecular structure, C24H32IN3Re, from the Open Molecules 2025 dataset.

Geometry as XYZ:
```
61
Properties=species:S:1:pos:R:3:forces:R:3:lowdin_charge:R:1
H -0.8089 1.3873 -2.5084 -0.246 -0.304 0.313 0.041
H -3.7755 0.2536 -2.6734 0.287 -0.098 -0.056 0.085
H -2.2781 1.9842 -1.5538 0.166 -0.467 0.072 0.053
H -2.6422 -3.0547 3.6837 -0.206 0.134 -0.035 0.094
C 1.6724 -1.8456 1.7884 0.011 -0.349 -0.016 -0.014
H 2.1030 0.0087 3.7473 -0.244 0.076 -0.156 0.111
H -3.9076 -1.9387 4.2392 0.043 -0.034 -0.185 0.112
H 4.1640 1.8536 -2.4589 -0.010 0.247 0.133 0.113
C -2.7139 -0.0123 -2.7280 0.355 0.805 -0.140 -0.146
C 1.8018 3.7836 -0.9588 -0.324 -0.373 -0.014 -0.014
N 0.2341 -0.0340 0.8978 -2.439 0.054 0.143 0.009
H 0.7647 -3.0728 -1.7228 0.467 0.205 -0.133 0.006
Re -0.9403 -0.2563 -0.7804 4.410 -0.587 -2.402 1.220
C 3.2282 2.1510 -2.0041 -0.580 -0.475 0.115 0.025
H 2.5319 -2.0298 2.4464 -0.230 -0.085 -0.191 0.112
C 2.9061 -2.9953 -2.0457 -0.260 0.373 -0.062 -0.016
C 1.4273 -0.3465 1.7460 0.426 -0.433 -0.037 -0.582
H 3.8287 4.1863 -1.6044 -0.205 -0.209 0.007 0.131
H 1.9036 -2.2229 0.7852 -0.026 -0.007 0.239 0.071
H 4.9854 -2.5212 -2.4373 -0.294 0.127 0.041 0.132
H -4.8628 -0.7770 1.7468 0.416 0.274 0.052 0.149
H 4.5379 -0.0617 -2.5087 -0.048 -0.304 0.082 0.114
H -4.7568 1.0047 -0.7315 0.134 0.072 0.303 0.092
C -3.7941 -0.5343 1.6743 -0.741 0.663 -0.735 -0.003
H -1.6442 1.8210 0.7270 0.017 -0.678 -0.149 0.139
H -5.2486 1.6078 0.8600 0.249 -0.019 -0.270 0.108
C 0.8015 2.8098 -0.9291 0.663 0.258 -0.400 -0.122
C -1.5458 -1.0530 2.3985 -0.176 -0.547 -0.948 -0.042
C 2.1979 1.1895 -1.8792 0.089 1.424 0.200 -0.215
C -1.9005 1.3593 -2.3683 -1.076 -0.169 -1.614 -0.198
C 3.7322 -0.7650 -2.3241 -0.709 0.403 0.057 0.015
H 2.5429 1.4187 1.1426 0.051 -0.131 -0.013 0.092
N 0.9975 1.5802 -1.4126 -0.364 -1.040 0.575 0.015
C 2.6860 0.3359 1.2291 0.135 0.164 -0.442 -0.024
C -3.4030 0.5252 0.8919 0.281 -0.725 -0.172 -0.231
H -0.8241 -1.6101 2.9989 -0.545 0.141 -0.256 0.112
N 1.4034 -1.1191 -1.8975 -0.750 0.659 0.422 0.052
C -2.9019 -1.3155 2.4468 0.857 0.162 0.682 -0.270
H 1.5829 4.7685 -0.5577 0.212 -0.124 -0.075 0.123
C 3.0317 3.4468 -1.5303 -0.250 -0.147 -0.098 -0.006
C 3.9763 -2.1358 -2.2867 -0.255 0.023 -0.016 -0.006
C 1.6374 -2.4351 -1.8888 0.187 -0.250 -0.090 -0.174
H -2.4398 -0.2463 -3.7641 -0.150 0.041 0.282 0.095
C 1.2064 0.2104 3.1488 -0.359 0.146 0.180 -0.017
C -1.0765 -0.2202 1.3346 1.571 1.341 3.124 -0.482
H -3.9192 2.4014 -0.0214 -0.168 -0.161 0.091 0.089
C -1.9590 0.7594 0.6614 -1.428 0.060 1.639 -0.254
H -2.1633 1.9663 -3.2467 -0.078 -0.067 0.081 0.113
H 0.3531 -0.2456 3.6514 0.236 0.214 0.093 0.071
C -4.3782 1.4321 0.2113 -0.361 0.199 0.021 -0.024
H -2.6627 -1.0050 -2.2110 0.348 0.814 0.161 -0.061
H 0.8051 -2.3846 2.1807 0.262 -0.064 -0.092 0.074
H 3.0109 -0.0685 0.2662 -0.036 0.059 0.236 0.067
H 3.4916 0.1541 1.9558 -0.269 0.074 -0.267 0.111
H 3.0159 -4.0739 -1.9786 0.078 0.213 -0.077 0.126
~~~

Done =
# 1
The following is a quantum chemistry calculation of 2 unconnected molecules or ions with the total composition CH2NO3S, from the Open Molecules 2025 dataset.

Geometry as XYZ:
```
8
Properties=species:S:1:pos:R:3:forces:R:3:lowdin_charge:R:1
H -1.1022 -1.0428 0.6192 -1.013 0.159 0.521 0.050
N -0.7929 0.7511 -0.0089 0.416 -1.772 -4.022 -0.528
O -0.7676 1.9180 -0.4582 0.404 0.506 0.209 -0.109
O -0.6906 -1.4457 -0.2094 0.427 -1.574 -0.307 -0.044
H 3.0539 -0.4393 -0.3234 0.703 -0.691 -0.602 -0.364
S 2.2140 0.2956 0.3485 -0.604 0.593 0.382 0.317
O -1.5861 0.3584 0.8654 -1.671 0.242 3.436 -0.130
C -0.3286 -0.3953 -0.8331 1.338 2.537 0.385 -0.192
```
Positions in Å, forces in eV/Å.

- highest occupied orbital energy (alpha / beta) (eV) = -2.538 / -4.425
- energy (eV) = -19532.042
- relative energy (zero: lowest compared OMol25 entry of this formula, charge and spin) (kcal per mole) = 98.2
- multiplicity = 3
- charge = -1
- HOMO-LUMO gap (alpha / beta) (eV) = 6.272 / 6.105

# 2
The following is a quantum chemistry calculation of a molecular structure, C24H32IN3Re, from the Open Molecules 2025 dataset.

Geometry as XYZ:
```
61
Properties=species:S:1:pos:R:3:forces:R:3:lowdin_charge:R:1
H -0.8089 1.3873 -2.5084 -0.246 -0.304 0.313 0.041
H -3.7755 0.2536 -2.6734 0.287 -0.098 -0.056 0.085
H -2.2781 1.9842 -1.5538 0.166 -0.467 0.072 0.053
H -2.6422 -3.0547 3.6837 -0.206 0.134 -0.035 0.094
C 1.6724 -1.8456 1.7884 0.011 -0.349 -0.016 -0.014
H 2.1030 0.0087 3.7473 -0.244 0.076 -0.156 0.111
H -3.9076 -1.9387 4.2392 0.043 -0.034 -0.185 0.112
H 4.1640 1.8536 -2.4589 -0.010 0.247 0.133 0.113
C -2.7139 -0.0123 -2.7280 0.355 0.805 -0.140 -0.146
C 1.8018 3.7836 -0.9588 -0.324 -0.373 -0.014 -0.014
N 0.2341 -0.0340 0.8978 -2.439 0.054 0.143 0.009
H 0.7647 -3.0728 -1.7228 0.467 0.205 -0.133 0.006
Re -0.9403 -0.2563 -0.7804 4.410 -0.587 -2.402 1.220
C 3.2282 2.1510 -2.0041 -0.580 -0.475 0.115 0.025
H 2.5319 -2.0298 2.4464 -0.230 -0.085 -0.191 0.112
C 2.9061 -2.9953 -2.0457 -0.260 0.373 -0.062 -0.016
C 1.4273 -0.3465 1.7460 0.426 -0.433 -0.037 -0.582
H 3.8287 4.1863 -1.6044 -0.205 -0.209 0.007 0.131
H 1.9036 -2.2229 0.7852 -0.026 -0.007 0.239 0.071
H 4.9854 -2.5212 -2.4373 -0.294 0.127 0.041 0.132
H -4.8628 -0.7770 1.7468 0.416 0.274 0.052 0.149
H 4.5379 -0.0617 -2.5087 -0.048 -0.304 0.082 0.114
H -4.7568 1.0047 -0.7315 0.134 0.072 0.303 0.092
C -3.7941 -0.5343 1.6743 -0.741 0.663 -0.735 -0.003
H -1.6442 1.8210 0.7270 0.017 -0.678 -0.149 0.139
H -5.2486 1.6078 0.8600 0.249 -0.019 -0.270 0.108
C 0.8015 2.8098 -0.9291 0.663 0.258 -0.400 -0.122
C -1.5458 -1.0530 2.3985 -0.176 -0.547 -0.948 -0.042
C 2.1979 1.1895 -1.8792 0.089 1.424 0.200 -0.215
C -1.9005 1.3593 -2.3683 -1.076 -0.169 -1.614 -0.198
C 3.7322 -0.7650 -2.3241 -0.709 0.403 0.057 0.015
H 2.5429 1.4187 1.1426 0.051 -0.131 -0.013 0.092
N 0.9975 1.5802 -1.4126 -0.364 -1.040 0.575 0.015
C 2.6860 0.3359 1.2291 0.135 0.164 -0.442 -0.024
C -3.4030 0.5252 0.8919 0.281 -0.725 -0.172 -0.231
H -0.8241 -1.6101 2.9989 -0.545 0.141 -0.256 0.112
N 1.4034 -1.1191 -1.8975 -0.750 0.659 0.422 0.052
C -2.9019 -1.3155 2.4468 0.857 0.162 0.682 -0.270
H 1.5829 4.7685 -0.5577 0.212 -0.124 -0.075 0.123
C 3.0317 3.4468 -1.5303 -0.250 -0.147 -0.098 -0.006
C 3.9763 -2.1358 -2.2867 -0.255 0.023 -0.016 -0.006
C 1.6374 -2.4351 -1.8888 0.187 -0.250 -0.090 -0.174
H -2.4398 -0.2463 -3.7641 -0.150 0.041 0.282 0.095